-- Input --
********
Entry from the OMol25 dataset: a structure of composition C37H25F2N8O2PdS (the ωB97M-V functional and the def2-TZVPD basis).

Properties
Energy: -74533.4884 eV
Total charge: +1
Kohn-Sham gap: 6.227 eV
LUMO: -4.5 eV
Relative energy (zero: lowest compared OMol25 entry of this formula, charge and spin): 11.6 kcal/mol

Each line ends with the Mulliken charge.
Positions of all 76 atoms, in Å:
1 Pd 0.105 1.329 0.029  -1.8341
2 F -4.354 3.087 -2.402  -0.3255
3 C -3.066 2.762 -2.505  0.3399
4 C -2.379 2.433 -1.345  0.2769
5 C -1.052 2.093 -1.449  1.4645
6 C -0.393 2.106 -2.688  -0.9151
7 C -1.152 2.416 -3.815  0.3845
8 F -0.576 2.383 -5.025  -0.3403
9 C -2.487 2.747 -3.756  -1.1129
10 C 1.035 1.808 -2.704  0.6185
11 C 1.918 2.088 -3.744  -1.1940
12 C 3.268 1.852 -3.573  -0.5303
13 C 3.729 1.341 -2.369  -1.1074
14 C 2.813 1.081 -1.372  -0.3450
15 N 1.505 1.304 -1.544  1.0832
16 H -2.913 2.496 -0.411  0.7349
17 H -3.045 2.981 -4.651  0.5518
18 H 1.545 2.501 -4.666  0.6056
19 H 3.959 2.076 -4.375  0.4433
20 H 4.776 1.141 -2.196  0.5549
21 H 3.119 0.669 -0.422  0.6061
22 N -4.363 -3.293 1.885  -0.5219
23 C -3.942 -1.997 1.987  1.0243
24 C -4.723 -0.951 1.477  -0.7623
25 C -4.276 0.353 1.550  -0.4787
26 C -3.044 0.630 2.128  -0.2673
27 C -2.264 -0.395 2.659  -0.4296
28 C -2.702 -1.697 2.577  -0.7016
29 S -2.529 2.285 2.293  1.3216
30 O -3.407 3.124 1.530  -0.6807
31 O -2.252 2.604 3.656  -0.7142
32 N -1.007 2.199 1.546  0.0885
33 C -0.273 3.343 1.481  0.5414
34 N -0.509 4.500 2.081  -0.5533
35 C 0.388 5.448 1.869  -0.3227
36 C 1.514 5.296 1.048  -0.7959
37 C 1.663 4.087 0.415  -0.3253
38 N 0.780 3.120 0.660  0.6516
39 H -5.316 -3.478 1.631  0.2081
40 H -3.909 -4.000 2.435  0.2002
41 H -5.686 -1.168 1.032  0.3676
42 H -4.884 1.163 1.168  0.5393
43 H -1.315 -0.166 3.128  0.4768
44 H -2.096 -2.499 2.980  0.3146
45 H 0.201 6.394 2.366  0.4744
46 H 2.223 6.096 0.907  0.4331
47 H 2.476 3.867 -0.267  0.4176
48 N 3.895 -8.172 -0.377  -0.4822
49 C 3.447 -7.120 -0.268  -0.1870
50 C 2.887 -5.802 -0.131  0.6006
51 C 3.244 -4.802 -1.031  -0.8655
52 C 2.701 -3.535 -0.898  -0.0096
53 C 1.801 -3.265 0.126  -0.7472
54 C 1.450 -4.266 1.025  0.2598
55 C 1.991 -5.533 0.900  -0.8118
56 C 1.225 -1.896 0.260  0.7518
57 C 1.970 -0.971 0.989  -0.4384
58 C 3.172 -1.207 1.706  -0.5167
59 C 3.464 -0.048 2.391  -1.5145
60 C 2.438 0.867 2.071  -0.5685
61 N 1.557 0.327 1.236  1.5210
62 C -0.035 -1.677 -0.293  -0.1374
63 C -0.900 -2.684 -0.790  -0.8517
64 C -2.109 -2.089 -1.072  -1.8793
65 C -1.956 -0.726 -0.777  -0.5676
66 N -0.734 -0.470 -0.317  1.5060
67 H 3.940 -5.021 -1.829  0.4654
68 H 2.975 -2.753 -1.595  0.5782
69 H 0.756 -4.048 1.827  0.5592
70 H 1.726 -6.316 1.598  0.4733
71 H 3.723 -2.134 1.714  0.6123
72 H 4.293 0.136 3.054  0.4771
73 H 2.322 1.876 2.435  0.5083
74 H -0.644 -3.727 -0.872  0.6273
75 H -3.010 -2.553 -1.435  0.5131
76 H -2.694 0.047 -0.891  0.6588

Forces on the atoms, in the same order (eV/Å):
0.5 0.1 -0.6
0.0 0.0 0.0
0.0 0.0 0.0
0.0 0.2 0.1
0.1 0.0 0.1
0.0 -0.1 0.0
0.0 0.0 0.0
0.0 0.0 0.0
0.0 0.0 0.0
0.0 0.1 0.0
0.0 0.0 -0.1
0.0 0.0 0.0
0.0 0.0 0.0
0.0 -0.2 0.0
-0.4 -0.2 0.3
0.0 0.0 0.1
0.0 0.0 0.0
0.0 0.0 0.0
0.0 0.0 0.0
0.0 0.0 0.0
0.0 0.1 0.0
0.0 0.0 -0.1
0.0 0.1 0.0
0.0 0.0 0.0
0.0 0.0 -0.1
0.0 0.0 0.0
0.0 0.0 0.0
0.0 0.0 0.0
0.1 -0.4 0.2
0.0 0.0 -0.1
0.0 0.0 0.0
0.1 0.3 -0.1
0.1 -0.1 0.1
0.0 0.0 0.0
0.0 0.0 0.0
0.0 0.0 0.0
0.0 0.0 0.0
-0.4 0.0 -0.2
0.0 0.0 0.0
0.0 0.0 0.0
0.0 0.0 0.0
0.0 0.0 0.0
0.0 0.0 0.0
0.0 0.0 0.0
0.0 0.0 0.0
0.0 0.0 0.0
0.0 0.0 0.0
0.0 0.0 0.0
0.0 0.0 0.0
0.0 0.0 0.0
0.0 0.0 0.0
0.0 0.0 0.0
0.0 0.0 0.0
0.0 0.0 0.0
0.0 0.0 0.0
0.0 0.1 0.1
0.0 -0.1 0.0
0.0 0.0 0.0
0.0 0.0 0.0
0.0 0.0 0.0
-0.4 0.2 0.3
0.1 -0.1 -0.1
0.0 0.0 0.0
0.0 0.0 0.0
-0.1 -0.1 -0.1
0.1 0.2 -0.1
0.0 0.0 0.0
0.0 0.0 0.0
0.0 0.0 0.0
0.0 0.0 0.0
0.0 0.0 0.0
0.0 0.0 0.0
0.0 0.0 0.0
0.0 0.0 0.0
0.0 0.0 0.0
0.0 0.1 0.0

----------

Entry 1:
C5H12FNO8PSSi2 | ωB97M-V with the def2-TZVPD basis set

Cartesian coordinates (Å):
N 3.52124 -3.18056 0.65908
********
-- Assignment --
Retype only the last part of the entries further above, starting with the line that has "-3.045 2.981", please.
-- Worked solution --
17 H -3.045 2.981 -4.651  0.5518
18 H 1.545 2.501 -4.666  0.6056
19 H 3.959 2.076 -4.375  0.4433
20 H 4.776 1.141 -2.196  0.5549
21 H 3.119 0.669 -0.422  0.6061
22 N -4.363 -3.293 1.885  -0.5219
23 C -3.942 -1.997 1.987  1.0243
24 C -4.723 -0.951 1.477  -0.7623
25 C -4.276 0.353 1.550  -0.4787
26 C -3.044 0.630 2.128  -0.2673
27 C -2.264 -0.395 2.659  -0.4296
28 C -2.702 -1.697 2.577  -0.7016
29 S -2.529 2.285 2.293  1.3216
30 O -3.407 3.124 1.530  -0.6807
31 O -2.252 2.604 3.656  -0.7142
32 N -1.007 2.199 1.546  0.0885
33 C -0.273 3.343 1.481  0.5414
34 N -0.509 4.500 2.081  -0.5533
35 C 0.388 5.448 1.869  -0.3227
36 C 1.514 5.296 1.048  -0.7959
37 C 1.663 4.087 0.415  -0.3253
38 N 0.780 3.120 0.660  0.6516
39 H -5.316 -3.478 1.631  0.2081
40 H -3.909 -4.000 2.435  0.2002
41 H -5.686 -1.168 1.032  0.3676
42 H -4.884 1.163 1.168  0.5393
43 H -1.315 -0.166 3.128  0.4768
44 H -2.096 -2.499 2.980  0.3146
45 H 0.201 6.394 2.366  0.4744
46 H 2.223 6.096 0.907  0.4331
47 H 2.476 3.867 -0.267  0.4176
48 N 3.895 -8.172 -0.377  -0.4822
49 C 3.447 -7.120 -0.268  -0.1870
50 C 2.887 -5.802 -0.131  0.6006
51 C 3.244 -4.802 -1.031  -0.8655
52 C 2.701 -3.535 -0.898  -0.0096
53 C 1.801 -3.265 0.126  -0.7472
54 C 1.450 -4.266 1.025  0.2598
55 C 1.991 -5.533 0.900  -0.8118
56 C 1.225 -1.896 0.260  0.7518
57 C 1.970 -0.971 0.989  -0.4384
58 C 3.172 -1.207 1.706  -0.5167
59 C 3.464 -0.048 2.391  -1.5145
60 C 2.438 0.867 2.071  -0.5685
61 N 1.557 0.327 1.236  1.5210
62 C -0.035 -1.677 -0.293  -0.1374
63 C -0.900 -2.684 -0.790  -0.8517
64 C -2.109 -2.089 -1.072  -1.8793
65 C -1.956 -0.726 -0.777  -0.5676
66 N -0.734 -0.470 -0.317  1.5060
67 H 3.940 -5.021 -1.829  0.4654
68 H 2.975 -2.753 -1.595  0.5782
69 H 0.756 -4.048 1.827  0.5592
70 H 1.726 -6.316 1.598  0.4733
71 H 3.723 -2.134 1.714  0.6123
72 H 4.293 0.136 3.054  0.4771
73 H 2.322 1.876 2.435  0.5083
74 H -0.644 -3.727 -0.872  0.6273
75 H -3.010 -2.553 -1.435  0.5131
76 H -2.694 0.047 -0.891  0.6588

Forces on the atoms, in the same order (eV/Å):
0.5 0.1 -0.6
0.0 0.0 0.0
0.0 0.0 0.0
0.0 0.2 0.1
0.1 0.0 0.1
0.0 -0.1 0.0
0.0 0.0 0.0
0.0 0.0 0.0
0.0 0.0 0.0
0.0 0.1 0.0
0.0 0.0 -0.1
0.0 0.0 0.0
0.0 0.0 0.0
0.0 -0.2 0.0
-0.4 -0.2 0.3
0.0 0.0 0.1
0.0 0.0 0.0
0.0 0.0 0.0
0.0 0.0 0.0
0.0 0.0 0.0
0.0 0.1 0.0
0.0 0.0 -0.1
0.0 0.1 0.0
0.0 0.0 0.0
0.0 0.0 -0.1
0.0 0.0 0.0
0.0 0.0 0.0
0.0 0.0 0.0
0.1 -0.4 0.2
0.0 0.0 -0.1
0.0 0.0 0.0
0.1 0.3 -0.1
0.1 -0.1 0.1
0.0 0.0 0.0
0.0 0.0 0.0
0.0 0.0 0.0
0.0 0.0 0.0
-0.4 0.0 -0.2
0.0 0.0 0.0
0.0 0.0 0.0
0.0 0.0 0.0
0.0 0.0 0.0
0.0 0.0 0.0
0.0 0.0 0.0
0.0 0.0 0.0
0.0 0.0 0.0
0.0 0.0 0.0
0.0 0.0 0.0
0.0 0.0 0.0
0.0 0.0 0.0
0.0 0.0 0.0
0.0 0.0 0.0
0.0 0.0 0.0
0.0 0.0 0.0
0.0 0.0 0.0
0.0 0.1 0.1
0.0 -0.1 0.0
0.0 0.0 0.0
0.0 0.0 0.0
0.0 0.0 0.0
-0.4 0.2 0.3
0.1 -0.1 -0.1
0.0 0.0 0.0
0.0 0.0 0.0
-0.1 -0.1 -0.1
0.1 0.2 -0.1
0.0 0.0 0.0
0.0 0.0 0.0
0.0 0.0 0.0
0.0 0.0 0.0
0.0 0.0 0.0
0.0 0.0 0.0
0.0 0.0 0.0
0.0 0.0 0.0
0.0 0.0 0.0
0.0 0.1 0.0

----------

Entry 1:
C5H12FNO8PSSi2 | ωB97M-V with the def2-TZVPD basis set

Cartesian coordinates (Å):
N 3.52124 -3.18056 0.65908